Now work out how many lines below have the word "Radiation" in them; a number is enough.
Diffraction record for TlVTeO5. The X-ray diffraction stick pattern is theoretical, not measured: it uses a structure optimized by DFT (GGA+U) and CuKα.
Intensities are scaled so that the largest is 100.

Principal peaks in the range 10° ≤ 2θ ≤ 90°, by angle:
2theta  I_rel  h k l
24.23  32  2 0 0
26.06  75  1 2 1
27.39  100  1 1 2
28.61  33  2 1 1
31.69  24  2 2 0
32.42  22  0 3 1
43.78  19  3 2 1
44.63  24  3 1 2
48.42  18  1 1 4
52.68  21  2 3 3

Atomic structure:
```
32
Lattice="7.3451 0.0000 0.0000 0.0000 8.8318 0.0000 0.0000 0.0000 7.9698" Properties=species:S:1:pos:R:3 pbc="T T T"
Tl 0.1712 0.9071 0.0000
Tl 3.5014 5.3230 3.9849
Tl 3.8438 3.5087 0.0000
Tl 7.1739 7.9246 3.9849
V 1.6345 6.5652 6.9997
V 2.0380 2.1493 3.0148
V 5.3071 6.6825 6.9997
V 5.7106 2.2666 3.0148
Te 0.1416 4.7161 1.5092
Te 3.5310 0.3002 5.4941
Te 3.8141 8.5316 1.5092
Te 7.2036 4.1157 5.4941
O 0.4510 1.5546 2.8051
O 0.7537 4.8681 7.6055
O 0.9582 5.6105 5.1404
O 1.6726 7.2336 0.5948
O 1.7796 3.7425 1.9568
O 1.8930 8.1584 5.9417
O 2.0000 2.8177 4.5797
O 2.7144 1.1946 1.1555
O 2.9189 0.4522 3.6206
O 3.2215 5.9705 6.7900
O 4.1236 2.8613 2.8051
O 4.4262 8.3796 7.6055
O 4.6307 7.6371 5.1404
O 5.3452 6.0141 0.5948
O 5.4521 0.6734 1.9568
O 5.5656 5.0893 5.9417
O 5.6725 1.5982 4.5797
O 6.3870 3.2213 1.1555
O 6.5915 3.9637 3.6206
O 6.8941 7.2772 6.7900
```

----------

(1)
Simulated powder diffraction line list
Compound: Li2U3V2O15
Radiation: Cu Kα
Structure: a cell relaxed with PBE+U
Lines closer than 0.1° are merged.

Main lines, in order of falling intensity (15 to 90 degrees two-theta):
2theta  I_rel
23.89  1000
18.28  563
21.42  539
27.72  478
15.97  329
36.92  267
38.91  258
34.04  252
32.30  198
39.95  189

```
Li2U3V2O15
1.0
-3.7243 3.7243 12.4889
3.7243 -3.7243 12.4889
3.7243 3.7243 -12.4889
Li U V O
4 6 4 30
direct
0.0306 0.2806 0.7500
0.2806 0.0306 0.2500
0.7194 0.9694 0.7500
0.9694 0.7194 0.2500
0.1250 0.8750 0.2500
0.2900 0.5400 0.7500
0.4600 0.7100 0.7500
0.5400 0.2900 0.2500
0.7100 0.4600 0.2500
0.8750 0.1250 0.7500
0.1573 0.4073 0.7500
0.4073 0.1573 0.2500
0.5927 0.8427 0.7500
0.8427 0.5927 0.2500
0.0252 0.4527 0.5724
0.0514 0.8014 0.2500
0.1184 0.1746 0.5563
0.1184 0.5621 0.9437
0.1746 0.1184 0.0563
0.1986 0.9486 0.2500
0.2161 0.7118 0.5043
0.2882 0.2924 0.5043
0.2882 0.7839 0.9957
0.2924 0.2882 0.0043
0.3750 0.6250 0.7500
0.3803 0.4527 0.9276
0.4379 0.8816 0.5563
0.4527 0.0252 0.0724
0.4527 0.3803 0.4276
0.5473 0.6197 0.5724
0.5473 0.9748 0.9276
0.5621 0.1184 0.4437
0.6197 0.5473 0.0724
0.6250 0.3750 0.2500
0.7076 0.7118 0.9957
0.7118 0.2161 0.0043
0.7118 0.7076 0.4957
0.7839 0.2882 0.4957
0.8014 0.0514 0.7500
0.8254 0.8816 0.9437
0.8816 0.4379 0.0563
0.8816 0.8254 0.4437
0.9486 0.1986 0.7500
0.9748 0.5473 0.4276
```

---

(2)
Simulated powder diffraction line list
Compound: CoAgO2
Radiation: Cu Kα
Structure: a cell relaxed with PBE+U
Lines closer than 0.1° are merged.

Main lines, in order of falling intensity (15 to 90 degrees two-theta):
2theta  I_rel
34.79  1000
28.63  762
35.73  744
38.63  440
60.87  395
68.62  351
50.37  334
53.29  285
37.03  271
40.52  253

```
CoAgO2
1.0
3.0437 0.0000 0.0000
-1.5219 2.6360 0.0000
0.0000 0.0000 24.9407
Co Ag O
4 4 8
direct
0.3333 0.6667 0.1250
0.3333 0.6667 0.3750
0.6667 0.3333 0.6250
0.6667 0.3333 0.8750
0.0000 0.0000 0.0000
0.0000 0.0000 0.5000
0.3333 0.6667 0.7500
0.6667 0.3333 0.2500
0.0000 0.0000 0.0844
0.0000 0.0000 0.4156
0.0000 0.0000 0.5844
0.0000 0.0000 0.9156
0.3333 0.6667 0.6656
0.3333 0.6667 0.8344
0.6667 0.3333 0.1656
0.6667 0.3333 0.3344
```

---

(3)
Simulated powder diffraction line list
Compound: LiFe2OF5
Radiation: Cu Kα
Structure: a cell relaxed with PBE+U
Lines closer than 0.1° are merged.

Main lines, in order of falling intensity (15 to 90 degrees two-theta):
2theta  I_rel
30.37  1000
20.23  964
30.11  877
24.42  549
53.02  522
53.37  481
41.20  423
24.74  404
63.59  397
40.19  380

```
LiFe2OF5
1.0
4.6855 0.0000 0.0000
0.0000 5.1123 0.0000
-4.4655 0.0000 17.1298
Li Fe O F
4 8 4 20
3